(Wanted)
Now say how many lines of the listing underneath hold the word "charge", as a bare number.

(Given)
No. 1
{"formula": "C2H4NOP", "method": "wB97M-V/def2-TZVPD", "e_homo_ev": -9.46, "de_lowest_kcal_mol": 64.9, "homo_lumo_gap_ev": 7.94, "charge": 0, "molar_mass_g_mol": 89.0, "symbols": ["C", "C", "N", "O", "P", "H", "H", "H", "H"], "coordinates": [[1.46007, -0.19574, -0.00171], [-1.22897, 0.60349, -0.42463], [0.81900, -1.34396, -0.19531], [1.16871, 0.96681, -0.03430], [-0.85885, -0.98902, 0.08953], [2.54390, -0.39346, 0.22612], [-1.62779, 1.25494, 0.31964], [-1.08195, 1.14666, -1.39689], [-1.19413, -1.04972, 1.41754]], "mulliken_charge": [0.175, -0.359, -0.471, -0.494, 0.167, 0.351, 0.282, 0.283, 0.066]}

No. 2
{"formula": "C2H4NOP", "method": "wB97M-V/def2-TZVPD", "e_homo_ev": -9.37, "de_lowest_kcal_mol": 45.3, "homo_lumo_gap_ev": 9.11, "charge": 0, "molar_mass_g_mol": 89.0, "symbols": ["C", "C", "N", "O", "P", "H", "H", "H", "H"], "coordinates": [[-2.17460, 0.12193, 0.10830], [1.04334, -0.65991, 0.30887], [-1.28348, 1.20353, 0.07019], [-1.81096, -0.99574, -0.10503], [0.15824, 0.68117, -0.05339], [-3.24814, 0.31390, 0.43647], [2.02553, -0.38499, 0.29312], [0.93218, -1.65587, 0.47614], [0.96834, 1.74636, 0.16804]], "mulliken_charge": [0.220, -0.637, -0.522, -0.504, 0.384, 0.338, 0.332, 0.337, 0.052]}

No. 3
{"formula": "C2H4NOP", "method": "wB97M-V/def2-TZVPD", "e_homo_ev": -9.31, "de_lowest_kcal_mol": 73.1, "homo_lumo_gap_ev": 9.82, "charge": 0, "molar_mass_g_mol": 89.0, "symbols": ["C", "C", "N", "O", "P", "H", "H", "H", "H"], "coordinates": [[0.96666, 0.47440, 0.50208], [-0.59044, 0.42428, 0.34184], [1.60020, -0.15996, -0.39950], [0.82036, -0.86856, -1.32400], [-0.83621, -0.81952, -1.03802], [1.57525, 1.12830, 1.16077], [-1.26497, 0.14894, 1.18923], [-1.20726, 1.66375, -0.32184], [-1.06359, -1.99163, -0.11056]], "mulliken_charge": [-0.104, -0.549, -0.208, -0.224, 0.125, 0.344, 0.353, 0.229, 0.034]}

No. 4
{"formula": "C2H4NP", "method": "wB97M-V/def2-TZVPD", "e_homo_ev": -9.63, "de_lowest_kcal_mol": 46.9, "homo_lumo_gap_ev": 10.32, "smiles": "PC1=NC1", "charge": 0, "molar_mass_g_mol": 73.0, "symbols": ["C", "C", "N", "P", "H", "H", "H", "H"], "coordinates": [[0.28658, 0.25014, -0.40085], [0.36683, 0.76570, 0.96036], [0.24030, 1.52221, -0.32855], [0.04987, -1.37707, -1.14984], [-0.57052, 0.63226, 1.46757], [1.41313, 0.75431, 1.48469], [-0.86381, -0.77820, -1.98482], [-0.92239, -1.76936, -0.04856]], "mulliken_charge": [0.259, -0.263, -0.466, -0.125, 0.257, 0.197, 0.067, 0.075]}

No. 5
{"formula": "C2H4NP", "method": "wB97M-V/def2-TZVPD", "e_homo_ev": -6.48, "de_lowest_kcal_mol": 82.5, "homo_lumo_gap_ev": 5.85, "charge": 0, "molar_mass_g_mol": 73.0, "symbols": ["C", "C", "N", "P", "H", "H", "H", "H"], "coordinates": [[0.51840, -0.33615, 1.02252], [-0.14683, -0.03761, -0.13860], [1.07352, -0.68965, 2.01862], [0.80413, 1.48057, -1.51263], [0.01569, -0.71246, -0.90387], [-1.32849, 0.16582, 0.06797], [1.91401, -0.26902, 2.54086], [-0.41007, 1.71615, -2.18031]], "mulliken_charge": [0.479, -0.911, -0.324, -0.156, 0.343, 0.300, 0.347, -0.079]}

No. 6
{"formula": "C2H4NP", "method": "wB97M-V/def2-TZVPD", "e_homo_ev": -8.92, "de_lowest_kcal_mol": 62.6, "homo_lumo_gap_ev": 8.77, "charge": 0, "molar_mass_g_mol": 73.0, "symbols": ["C", "C", "N", "P", "H", "H", "H", "H"], "coordinates": [[-0.06489, 0.02656, 0.48910], [-0.15458, -1.30703, -0.18617], [0.25007, 0.83358, -0.40134], [-0.57903, -1.40340, -1.80959], [-0.16108, 0.55742, 1.74386], [0.29981, -2.10803, 0.33152], [0.35380, 1.90153, -0.28173], [-0.86350, 0.08425, -1.81886]], "mulliken_charge": [-0.001, -0.311, -0.507, -0.098, 0.251, 0.362, 0.224, 0.080]}

No. 7

(Worked solution)
6